It remains to work out how many lines further below have the word "vol_a3_per_atom" in them; a number is enough.

+++
[1]
{"formula": "Pr2Dy2CBr2Cl3", "functional": "GGA-PBE", "state": "optimized geometry", "vol_a3_per_atom": 25.85, "final_energy_ev_per_atom": -5.260, "lattice_angstrom": [[-1.6372, -3.7103, -8.0518], [1.4869, -5.5587, -6.9404], [-4.3724, -4.3906, 4.9887]], "species": ["Br", "Br", "C", "Cl", "Cl", "Cl", "Dy", "Dy", "Pr", "Pr"], "fractional_positions": [[0.1620, 0.1620, 0.3720], [0.8380, 0.8380, 0.6280], [0.5000, 0.5000, 0.0000], [0.8360, 0.8360, 0.1808], [0.5000, 0.5000, 0.5000], [0.1640, 0.1640, 0.8192], [0.9982, 0.9982, 0.2082], [0.0018, 0.0018, 0.7918], [0.6481, 0.6481, 0.0815], [0.3519, 0.3519, 0.9185]]}

[2]
{"formula": "Pr2Dy2CBr2Cl3", "functional": "GGA-PBE", "state": "optimized geometry", "vol_a3_per_atom": 26.22, "final_energy_ev_per_atom": -5.268, "lattice_angstrom": [[8.9922, -1.8933, 0.0000], [8.9922, 1.8933, 0.0000], [-1.8800, 0.0000, 7.6997]], "species": ["Br", "Br", "C", "Cl", "Cl", "Cl", "Dy", "Dy", "Pr", "Pr"], "fractional_positions": [[0.8339, 0.8339, 0.1966], [0.1661, 0.1661, 0.8034], [0.5000, 0.5000, 0.0000], [0.1528, 0.1528, 0.3546], [0.5000, 0.5000, 0.5000], [0.8472, 0.8472, 0.6454], [0.9996, 0.9996, 0.2093], [0.0004, 0.0004, 0.7907], [0.6454, 0.6454, 0.0843], [0.3546, 0.3546, 0.9157]]}

[3]
{"formula": "Pr2Dy2CBr2Cl3", "functional": "GGA-PBE", "state": "optimized geometry", "vol_a3_per_atom": 27.39, "final_energy_ev_per_atom": -5.269, "lattice_angstrom": [[-5.4501, -4.8040, 5.2458], [-2.1163, -6.7733, 5.4720], [2.9409, 5.5887, 5.3123]], "species": ["Br", "Br", "C", "Cl", "Cl", "Cl", "Dy", "Dy", "Pr", "Pr"], "fractional_positions": [[0.1713, 0.1713, 0.3296], [0.8287, 0.8287, 0.6704], [0.5000, 0.5000, 0.0000], [0.8241, 0.8241, 0.1409], [0.5000, 0.5000, 0.5000], [0.1759, 0.1759, 0.8591], [0.6405, 0.6405, 0.0709], [0.3595, 0.3595, 0.9291], [0.9963, 0.9963, 0.2128], [0.0037, 0.0037, 0.7872]]}

[4]
{"formula": "Pr2Dy2CBrCl4", "functional": "GGA-PBE", "state": "optimized geometry", "vol_a3_per_atom": 25.86, "final_energy_ev_per_atom": -5.342, "lattice_angstrom": [[8.7556, -1.8972, 0.0000], [8.7556, 1.8972, 0.0000], [-2.1450, 0.0000, 7.7838]], "species": ["Br", "C", "Cl", "Cl", "Cl", "Cl", "Dy", "Dy", "Pr", "Pr"], "fractional_positions": [[0.5000, 0.5000, 0.5000], [0.5000, 0.5000, 0.0000], [0.8360, 0.8360, 0.1732], [0.1588, 0.1588, 0.3557], [0.8412, 0.8412, 0.6443], [0.1640, 0.1640, 0.8268], [0.9996, 0.9996, 0.2036], [0.0004, 0.0004, 0.7964], [0.6501, 0.6501, 0.0891], [0.3499, 0.3499, 0.9109]]}

[5]
{"formula": "Pr2Dy2CBr2Cl3", "functional": "GGA-PBE", "state": "optimized geometry", "vol_a3_per_atom": 27.82, "final_energy_ev_per_atom": -5.270, "lattice_angstrom": [[-2.0212, -2.4845, 8.5968], [1.2170, -4.4942, 7.9047], [4.4615, 6.8030, 1.1203]], "species": ["Br", "Br", "C", "Cl", "Cl", "Cl", "Dy", "Dy", "Pr", "Pr"], "fractional_positions": [[0.8256, 0.8256, 0.1633], [0.1744, 0.1744, 0.8367], [0.5000, 0.5000, 0.0000], [0.1644, 0.1644, 0.3094], [0.5000, 0.5000, 0.5000], [0.8356, 0.8356, 0.6906], [0.6375, 0.6375, 0.0707], [0.3625, 0.3625, 0.9293], [0.0000, 0.0000, 0.2154], [0.0000, 0.0000, 0.7846]]}

[6]
{"formula": "Dy2Sc2CBr3Cl2", "functional": "GGA-PBE", "state": "optimized geometry", "vol_a3_per_atom": 25.19, "final_energy_ev_per_atom": -5.511, "lattice_angstrom": [[-4.0366, -7.1923, -3.2255], [-1.1937, -6.8117, -5.5320], [4.9609, -3.1172, 5.6005]], "species": ["Br", "Br", "Br", "C", "Cl", "Cl", "Dy", "Dy", "Sc", "Sc"], "fractional_positions": [[0.8292, 0.8292, 0.1542], [0.5000, 0.5000, 0.5000], [0.1708, 0.1708, 0.8458], [0.5000, 0.5000, 0.0000], [0.1615, 0.1615, 0.2988], [0.8385, 0.8385, 0.7012], [0.0004, 0.0004, 0.2025], [0.9996, 0.9996, 0.7975], [0.6326, 0.6326, 0.0679], [0.3674, 0.3674, 0.9321]]}

[7]
+++

6